(Exercise)
Write out everything underneath word for word.

(File)
Run A
{"formula": "U3Ge", "functional": "PBE", "state": "optimized geometry", "space_group": "I4/mmm", "lattice": [[2.1857, 4.6964, -0.4578], [-2.2480, 3.1609, 3.4639], [2.1368, -4.7063, 0.5730]], "species": ["U", "U", "U", "Ge"], "fractional_positions": [[0.5000, 0.5000, 0.0000], [0.7500, 0.2500, 0.5000], [0.2500, 0.7500, 0.5000], [0.0000, 0.0000, 0.0000]]}

---

Run B
{"formula": "U3Ge", "functional": "PBE", "state": "optimized geometry", "space_group": "Pm-3m", "lattice": [[-3.1129, -2.5382, 1.5260], [-0.5939, -1.6340, -3.9293], [2.9015, -3.0576, 0.8330]], "species": ["U", "U", "U", "Ge"], "fractional_positions": [[0.5000, 0.5000, 0.0000], [0.0000, 0.5000, 0.5000], [0.5000, 0.0000, 0.5000], [0.0000, 0.0000, 0.0000]]}

---

Of them, run A has the lowest stability.

---

Run A
{"formula": "Ge3W5", "functional": "PBE", "state": "optimized geometry", "space_group": "I4/mcm", "lattice": [[6.4245, 0.0000, 0.0000], [0.0000, 6.4245, 0.0000], [-3.2122, -3.2122, 6.0693]], "species": ["W", "W", "W", "W", "W", "W", "W", "W", "W", "W", "Ge", "Ge", "Ge", "Ge", "Ge", "Ge"], "fractional_positions": [[0.0000, 0.0000, 0.0000], [0.4963, 0.3224, 0.3187], [0.3224, 0.8224, 0.3187], [0.8224, 0.9963, 0.3187], [0.0037, 0.5037, 0.6813], [0.6776, 0.1776, 0.6813], [0.1776, 0.0037, 0.6813], [0.5000, 0.5000, 0.0000], [0.9963, 0.4963, 0.3187], [0.5037, 0.6776, 0.6813], [0.3626, 0.8626, 0.0000], [0.8626, 0.6374, 0.0000], [0.1374, 0.3626, 0.0000], [0.7500, 0.7500, 0.5000], [0.2500, 0.2500, 0.5000], [0.6374, 0.1374, 0.0000]]}

---

Run B
{"formula": "Ge3W5", "functional": "PBE", "state": "optimized geometry", "space_group": "I4/mcm", "lattice": [[1.8274, 1.5179, -4.4668], [7.2385, 1.6220, 0.6474], [2.5400, -5.8658, -3.8193]], "species": ["Ge", "Ge", "Ge", "Ge", "Ge", "Ge", "W", "W", "W", "W", "W", "W", "W", "W", "W", "W"], "fractional_positions": [[0.6696, 0.5000, 0.1608], [0.7500, 0.0000, 0.0000], [0.8304, 0.8392, 0.5000], [0.2500, 0.0000, 0.0000], [0.1696, 0.1608, 0.5000], [0.3304, 0.5000, 0.8392], [0.7308, 0.6949, 0.8436], [0.4256, 0.8436, 0.3051], [0.5744, 0.1564, 0.6949], [0.2692, 0.3051, 0.1564], [0.0744, 0.6949, 0.1564], [0.7500, 0.5000, 0.5000], [0.2308, 0.8436, 0.6949], [0.7692, 0.1564, 0.3051], [0.9256, 0.3051, 0.8436], [0.2500, 0.5000, 0.5000]]}

---

Of them, run A has the lowest stability.


[1]
Compound: Cs2Te10Mo9
Source: the Materials Project
Functional: GGA-PBE
Structure: relaxed

Total magnetic moment (Bohr magnetons per cell): 0.12
Formation energy (eV per atom): -0.44

The structure in CIF format:
```
data_Cs2Te10Mo9
_chemical_formula_sum 'Cs4 Te20 Mo18'
_space_group_name_H-M_alt 'P 1'
_space_group_IT_number 1
_space_group_name_Hall 'P 1'
_cell_length_a 14.545
_cell_length_b 14.545
_cell_length_c 14.545
_cell_angle_alpha 42.11
_cell_angle_beta 42.11
_cell_angle_gamma 42.11
loop_
_atom_site_label
_atom_site_type_symbol
_atom_site_fract_x
_atom_site_fract_y
_atom_site_fract_z
_atom_site_occupancy
Te1 Te 0.945 0.587 0.203 1
Te2 Te 0.563 0.822 0.185 1
Mo1 Mo 0.699 0.991 0.872 1
Cs1 Cs 0.576 0.576 0.576 1
Te3 Te 0.822 0.185 0.563 1
Cs2 Cs 0.301 0.301 0.301 1
Te4 Te 0.587 0.203 0.945 1
Te5 Te 0.055 0.413 0.797 1
Mo2 Mo 0.771 0.898 0.068 1
Mo3 Mo 0.301 0.009 0.128 1
Te6 Te 0.797 0.055 0.413 1
Mo4 Mo 0.009 0.128 0.301 1
Mo5 Mo 0.815 0.108 0.988 1
Te7 Te 0.797 0.797 0.797 1
Mo6 Mo 0.229 0.102 0.932 1
Mo7 Mo 0.988 0.815 0.108 1
Cs3 Cs 0.424 0.424 0.424 1
Mo8 Mo 0.012 0.185 0.892 1
Mo9 Mo 0.872 0.699 0.991 1
Te8 Te 0.698 0.320 0.068 1
Mo10 Mo 0.932 0.229 0.102 1
Mo11 Mo 0.898 0.068 0.771 1
Te9 Te 0.680 0.932 0.302 1
Te10 Te 0.932 0.302 0.680 1
Te11 Te 0.203 0.945 0.587 1
Mo12 Mo 0.108 0.988 0.815 1
Mo13 Mo 0.128 0.301 0.009 1
Te12 Te 0.413 0.797 0.055 1
Te13 Te 0.203 0.203 0.203 1
Te14 Te 0.437 0.178 0.815 1
Te15 Te 0.320 0.068 0.698 1
Mo14 Mo 0.892 0.012 0.185 1
Mo15 Mo 0.068 0.771 0.898 1
Te16 Te 0.815 0.437 0.178 1
Te17 Te 0.068 0.698 0.320 1
Mo16 Mo 0.185 0.892 0.012 1
Cs4 Cs 0.699 0.699 0.699 1
Mo17 Mo 0.991 0.872 0.699 1

(Outcome)
Run A
{"formula": "U3Ge", "functional": "PBE", "state": "optimized geometry", "space_group": "I4/mmm", "lattice": [[2.1857, 4.6964, -0.4578], [-2.2480, 3.1609, 3.4639], [2.1368, -4.7063, 0.5730]], "species": ["U", "U", "U", "Ge"], "fractional_positions": [[0.5000, 0.5000, 0.0000], [0.7500, 0.2500, 0.5000], [0.2500, 0.7500, 0.5000], [0.0000, 0.0000, 0.0000]]}

---

Run B
{"formula": "U3Ge", "functional": "PBE", "state": "optimized geometry", "space_group": "Pm-3m", "lattice": [[-3.1129, -2.5382, 1.5260], [-0.5939, -1.6340, -3.9293], [2.9015, -3.0576, 0.8330]], "species": ["U", "U", "U", "Ge"], "fractional_positions": [[0.5000, 0.5000, 0.0000], [0.0000, 0.5000, 0.5000], [0.5000, 0.0000, 0.5000], [0.0000, 0.0000, 0.0000]]}

---

Of them, run A has the lowest stability.

---

Run A
{"formula": "Ge3W5", "functional": "PBE", "state": "optimized geometry", "space_group": "I4/mcm", "lattice": [[6.4245, 0.0000, 0.0000], [0.0000, 6.4245, 0.0000], [-3.2122, -3.2122, 6.0693]], "species": ["W", "W", "W", "W", "W", "W", "W", "W", "W", "W", "Ge", "Ge", "Ge", "Ge", "Ge", "Ge"], "fractional_positions": [[0.0000, 0.0000, 0.0000], [0.4963, 0.3224, 0.3187], [0.3224, 0.8224, 0.3187], [0.8224, 0.9963, 0.3187], [0.0037, 0.5037, 0.6813], [0.6776, 0.1776, 0.6813], [0.1776, 0.0037, 0.6813], [0.5000, 0.5000, 0.0000], [0.9963, 0.4963, 0.3187], [0.5037, 0.6776, 0.6813], [0.3626, 0.8626, 0.0000], [0.8626, 0.6374, 0.0000], [0.1374, 0.3626, 0.0000], [0.7500, 0.7500, 0.5000], [0.2500, 0.2500, 0.5000], [0.6374, 0.1374, 0.0000]]}

---

Run B
{"formula": "Ge3W5", "functional": "PBE", "state": "optimized geometry", "space_group": "I4/mcm", "lattice": [[1.8274, 1.5179, -4.4668], [7.2385, 1.6220, 0.6474], [2.5400, -5.8658, -3.8193]], "species": ["Ge", "Ge", "Ge", "Ge", "Ge", "Ge", "W", "W", "W", "W", "W", "W", "W", "W", "W", "W"], "fractional_positions": [[0.6696, 0.5000, 0.1608], [0.7500, 0.0000, 0.0000], [0.8304, 0.8392, 0.5000], [0.2500, 0.0000, 0.0000], [0.1696, 0.1608, 0.5000], [0.3304, 0.5000, 0.8392], [0.7308, 0.6949, 0.8436], [0.4256, 0.8436, 0.3051], [0.5744, 0.1564, 0.6949], [0.2692, 0.3051, 0.1564], [0.0744, 0.6949, 0.1564], [0.7500, 0.5000, 0.5000], [0.2308, 0.8436, 0.6949], [0.7692, 0.1564, 0.3051], [0.9256, 0.3051, 0.8436], [0.2500, 0.5000, 0.5000]]}

---

Of them, run A has the lowest stability.


[1]
Compound: Cs2Te10Mo9
Source: the Materials Project
Functional: GGA-PBE
Structure: relaxed

Total magnetic moment (Bohr magnetons per cell): 0.12
Formation energy (eV per atom): -0.44

The structure in CIF format:
```
data_Cs2Te10Mo9
_chemical_formula_sum 'Cs4 Te20 Mo18'
_space_group_name_H-M_alt 'P 1'
_space_group_IT_number 1
_space_group_name_Hall 'P 1'
_cell_length_a 14.545
_cell_length_b 14.545
_cell_length_c 14.545
_cell_angle_alpha 42.11
_cell_angle_beta 42.11
_cell_angle_gamma 42.11
loop_
_atom_site_label
_atom_site_type_symbol
_atom_site_fract_x
_atom_site_fract_y
_atom_site_fract_z
_atom_site_occupancy
Te1 Te 0.945 0.587 0.203 1
Te2 Te 0.563 0.822 0.185 1
Mo1 Mo 0.699 0.991 0.872 1
Cs1 Cs 0.576 0.576 0.576 1
Te3 Te 0.822 0.185 0.563 1
Cs2 Cs 0.301 0.301 0.301 1
Te4 Te 0.587 0.203 0.945 1
Te5 Te 0.055 0.413 0.797 1
Mo2 Mo 0.771 0.898 0.068 1
Mo3 Mo 0.301 0.009 0.128 1
Te6 Te 0.797 0.055 0.413 1
Mo4 Mo 0.009 0.128 0.301 1
Mo5 Mo 0.815 0.108 0.988 1
Te7 Te 0.797 0.797 0.797 1
Mo6 Mo 0.229 0.102 0.932 1
Mo7 Mo 0.988 0.815 0.108 1
Cs3 Cs 0.424 0.424 0.424 1
Mo8 Mo 0.012 0.185 0.892 1
Mo9 Mo 0.872 0.699 0.991 1
Te8 Te 0.698 0.320 0.068 1
Mo10 Mo 0.932 0.229 0.102 1
Mo11 Mo 0.898 0.068 0.771 1
Te9 Te 0.680 0.932 0.302 1
Te10 Te 0.932 0.302 0.680 1
Te11 Te 0.203 0.945 0.587 1
Mo12 Mo 0.108 0.988 0.815 1
Mo13 Mo 0.128 0.301 0.009 1
Te12 Te 0.413 0.797 0.055 1
Te13 Te 0.203 0.203 0.203 1
Te14 Te 0.437 0.178 0.815 1
Te15 Te 0.320 0.068 0.698 1
Mo14 Mo 0.892 0.012 0.185 1
Mo15 Mo 0.068 0.771 0.898 1
Te16 Te 0.815 0.437 0.178 1
Te17 Te 0.068 0.698 0.320 1
Mo16 Mo 0.185 0.892 0.012 1
Cs4 Cs 0.699 0.699 0.699 1
Mo17 Mo 0.991 0.872 0.699 1